How to find someone to cosign a loan

A co-signer is someone who agrees to repay your debt if you default on a loan or miss a payment. If you’re having trouble qualifying for a personal loan or want a better chance of receiving a lower interest rate, applying with a co-signer (if one is available) could help.

Co-signers are common when the borrower struggles to get approved for a loan based on their credit score, income or existing debt.

The potential downside of getting a personal loan with a co-signer is that you can damage their credit if you miss a payment or default. Before you ask someone to cosign, inform them of the risks and make sure they understand their rights as a co-signer.

What is the difference between a co-signer and a co-borrower?

Whereas a co-signer is someone who agrees to take financial responsibility for paying off the debt if the primary borrower is unable to keep up with payments, a co-borrower’s name is on the loan. They are expected to make payments from the start.

Having a co-signer can help the lender gain confidence that the loan will be repaid. Multiple borrowers are responsible for making payments, versus a single borrower.

How a co-signer affects your credit

A co-signer has no impact on your credit. Whether you use a co-signer to take out a personal loan or get one on your own, it will have the same initial impact on your credit. A lender will perform a hard credit check, which can ding your credit score by up to five points.

That said, getting a co-signer to help you get approved for a personal loan could help you build credit. For example, if you repay your loan on time, it will add positive credit history to your credit reports. As a result, your credit score could increase.

Cosigning a loan can affect the co-signer’s credit score—for better or for worse.The loan will be added to the co-signer’s credit history and impact their credit score. Any late or missed payments on the loan will also have an impact on credit score.

What you should look for in a co-signer

When looking for a co-signer for a personal loan, here are some qualities to keep in mind.

  • Good credit. A co-signer with good to excellent credit (670 or above) is likelier to meet a lender’s minimum credit score requirements. The higher the co-signer’s credit score, the lower your interest rate might be.
  • Solid income. Some lenders have minimum income requirements. To increase your chances of getting approved, find someone who meets (and preferably exceeds) the income needed for approval.
  • Low debt-to-income (DTI) ratio. If you can, try to find a co-signer who doesn’t have a lot of debt relative to their income. Lenders sometimes have minimum DTI ratio requirements — the total debt you owe versus your monthly gross income. For example, if your monthly debt is $1,000 and your gross monthly income is $2,000, then your DTI ratio is 50 percent.

Where can you get a personal loan with a co-signer

When searching for a lender that offers personal loans with a co-signer, you may have trouble finding one. The lenders we reached out to allow you to apply with a co-borrower — someone equally responsible for repaying a loan — and not a co-signer.

That said, we found two lenders that allow you to take out a personal loan with a co-signer.

Mariner 18.99 to 35.99%
Laurel Road 8.99% to 24.50%

In addition, some lenders only allow you to apply for a personal loan with a co-signer if you’ve been a member with them for a certain time. You may, for example, have better luck with a bank you’ve been with for years than with a company that only offers loan services.

When using a co-signer makes sense

Getting a loan with a co-signer can be risky, but it can also be beneficial if done correctly. Here are some examples of when using a co-signer would make sense:

  • You have poor credit: If your credit score is less than 580, it’s considered poor, and it may be harder to get approved for a loan. The lower your credit score, the riskier you’re deemed as a borrower.
  • You don’t meet the minimum income requirements: Some lenders require a minimum income. If you don’t meet the minimum at the time of application, a co-signer can help bridge that gap.
  • You’re self-employed: If you’re self-employed and don’t have a stable, predictable income, it can be difficult to get approved, even if the monthly payments are well within your budget.
  • You’re a young adult and don’t have a steady income or a solid credit history: Not having a financial or credit history can hinder your odds of being approved for a loan. Having a co-signer with an established financial history can help you qualify.
  • You have a high debt-to-income ratio: Your debt-to-income ratio is the amount of debt you owe versus your income. If you have large amounts of debt when you apply for a loan, you may want to consider using a co-signer.

“Cosigning or coborrowing a loan is really only something you should do if you’re prepared to pay back the debt,” says Lauren Anastasio, CFP at SoFi. “Being a co-signer or co-borrower for a loved one or business partner can lower their cost of borrowing or even help them obtain a loan they wouldn’t otherwise qualify for, but that only happens because the lender will hold you responsible for the debt if anything goes wrong.”

How having a co-signer can affect your relationship

Asking someone to cosign a loan for you is a significant decision. It can put a strain on your relationship with that individual if you face financial challenges down the road and are unable to make your loan payments.

It’s important to think carefully about who you will ask to take on such a responsibility. Select someone you have a good relationship with and with whom you can have honest conversations.

Ideally, you will pick someone you trust and who trusts you. Because ultimately, both you and the co-signer need to feel good about the agreement and be on the same page about the financial responsibilities involved.

Alternatives to cosigning

If you can’t find a willing co-signer or want to avoid the risks associated with cosigning, here are four alternative options to consider.

Build your credit

If you don’t mind waiting, improving your credit score before applying could help you qualify for a personal loan without a co-signer. Here are three actions you can take to build or rebuild credit.

  • Repay your bills on time. Your payment history accounts for 35 percent of your FICO score. Repaying debt on time adds positive credit history to your reports, which could raise your credit score over time.
  • Consider a secured credit card. A secured credit card is one designed to help you build credit. Unlike a traditional credit card, a credit card issuer requires a deposit that helps establish your credit limit. As you repay your loan, it helps you build credit.
  • Review your credit reports. Credit reports can contain errors. If you have a mistake on your report, such as an incorrect balance reported, it could drop your credit score. To catch and fix any potential mistakes, review your credit reports from the major credit bureaus — Equifax, TransUnion and Experian — at least once a year by visiting

Get a secured personal loan

Some lenders offer secured personal loans. Unlike an unsecured personal loan, it has an asset attached, such as a bank account or car, which a lender can seize if you don’t repay. This means it is less risky to the lender than an unsecured loan. As a result, you may have an easier time qualifying for one versus a traditional personal loan.

Find a bad credit lender

Although it can be tough to qualify for a personal loan with a bad credit score on your own, some lenders offer bad credit loans. For example, some online lenders allow applicants to qualify with scores as low as 580. However, a major downside of these loans is that you could receive an interest rate greater than 30 percent.

The bottom line

If you’re having trouble qualifying for a loan on your own, enlisting a co-signer could be a viable option. Before accepting the loan offer, have an honest discussion about the loan amount, terms and repayment plan with your co-signer. If you have contingencies in place, it’s less likely that your relationship will be at risk down the line.

Where can I find a cosigner for a loan?

Inserted here: quantum chemistry results.
____________
(1)
Computed, not measured: a structure of composition C13H24AlO4S2, with ωB97M-V/def2-TZVPD.

Values from the calculation:
* charge: -1
* total energy: -50325.7896 eV
* highest occupied orbital energy: -4.70 eV
* molecular weight: 335.45 g mol⁻¹

Geometry as XYZ:
```
44
Properties=species:S:1:pos:R:3:nbo_charge:R:1
C -3.2379 3.9354 -0.6584 -0.462
C -3.3116 3.7690 -1.8601 -0.378
Al -3.1981 3.3600 -3.8495 1.067
C -3.1684 1.3278 -3.9902 -0.983
C -1.7971 0.7085 -4.0006 -0.146
C -0.6919 1.2769 -3.5273 -0.457
H -3.0928 4.0697 0.3854 0.200
H -4.5160 3.9896 -4.5676 -0.413
H -1.8527 4.0375 -4.4241 -0.396
H -3.6885 0.9484 -3.1002 0.220
H -3.7338 0.9622 -4.8490 0.205
H -1.7226 -0.3098 -4.3832 0.161
H 0.2813 0.8550 -3.7505 0.177
H -0.7231 2.1212 -2.8516 0.207
C 0.1364 0.8691 1.5384 -0.406
C -0.4667 2.2790 1.6117 -0.411
C 0.6258 3.2690 1.1859 -0.676
S 1.7029 2.3630 0.0636 2.167
O 3.0115 2.2386 0.6702 -0.970
O 1.5554 2.8893 -1.2647 -0.927
C 0.8539 0.7942 0.1976 -0.673
H -0.6197 0.0945 1.6217 0.247
H 0.8539 0.7296 2.3531 0.193
H -1.3112 2.3474 0.9234 0.238
H -0.8349 2.5112 2.6108 0.212
H 0.2295 4.1300 0.6526 0.262
H 1.2353 3.5961 2.0266 0.232
H 1.5842 -0.0081 0.1291 0.242
H 0.1485 0.7301 -0.6322 0.266
C 2.7997 -4.1324 2.7781 -0.406
C 2.4429 -4.8039 1.4442 -0.402
C 0.9207 -4.7134 1.2780 -0.677
S 0.4076 -3.2408 2.1770 2.174
O -0.4222 -3.6391 3.2858 -0.945
O -0.0323 -2.2332 1.2493 -0.938
C 2.0323 -2.8149 2.8000 -0.675
H 3.8717 -3.9680 2.8754 0.225
H 2.4784 -4.7627 3.6101 0.213
H 2.9352 -4.2739 0.6270 0.213
H 2.7770 -5.8399 1.4111 0.222
H 0.6134 -4.6034 0.2413 0.257
H 0.4076 -5.5604 1.7287 0.244
H 1.9250 -2.3771 3.7893 0.255
H 2.4640 -2.0874 2.1127 0.244
```

(2)
Computed, not measured: a structure of composition C13H24AsN3O6STi, with ωB97M-V/def2-TZVPD.

Values from the calculation:
* charge: -2
* total energy: -125420.1471 eV
* highest occupied orbital energy (spin up / spin down): -0.45 / -0.45 eV
* molecular weight: 473.21 g mol⁻¹

Geometry as XYZ:
```
49
Properties=species:S:1:pos:R:3:nbo_charge:R:1
Ti 0.4394 -0.5075 -0.1521 1.638
O 1.9959 -0.9098 0.8919 -0.779
C 3.1777 -0.2351 0.6038 -0.064
C 3.4830 -0.3098 -0.8893 -0.235
N 2.2988 0.0783 -1.6495 -0.464
C 2.0747 1.4976 -1.8454 -0.346
C 0.5718 1.7572 -2.0611 0.787
O 0.2235 2.7497 -2.6861 -0.681
O -0.2126 0.8617 -1.5655 -0.752
C 2.1111 -0.6993 -2.8643 -0.336
C 1.3852 -2.0213 -2.5867 0.790
O 1.5838 -2.9722 -3.3325 -0.689
O 0.6361 -2.0146 -1.5443 -0.731
H 0.4833 5.3573 4.6573 -0.893
H 4.0210 -0.6768 1.1562 0.155
H 3.1195 0.8206 0.9155 0.152
H 3.7000 -1.3505 -1.1399 0.203
H 4.3642 0.2953 -1.1560 0.166
H 2.6418 1.9176 -2.6861 0.188
H 2.3585 2.0387 -0.9391 0.227
H 3.0549 -0.8985 -3.3845 0.190
H 1.4672 -0.1439 -3.5493 0.223
C -2.0410 -3.9588 -0.8287 -0.971
As -3.6398 -3.3036 0.0102 1.474
C -3.1986 -3.1735 1.8798 -0.983
C -3.9218 -1.4871 -0.5608 -0.976
S -5.3311 -4.5082 -0.3247 -0.809
H -1.1994 -3.3547 -0.4876 0.292
H -2.1365 -3.8756 -1.9092 0.243
H -1.9301 -5.0061 -0.5526 0.229
H -2.3225 -2.5316 1.9687 0.281
____________

Finding a cosigner.
Friends - Do you have a friend who's financially responsible and on solid ground income-wise? ... .
Extended family - Aunts, uncles, cousins — they're all valid cosigners. ... .
Mentors - Personal or professional mentors may also be an option..

Is it possible to find a cosigner online?

Where to find cosigners online: The two most used online services, that help you to get co-signers, are Hire A Cosigner, and Cosigner Finder. If you just type in 'Online Cosigner', you will be seeing the name of these two sites popping up.

What to do if I cant find a co

Fortunately, even if finding a co-signer would be difficult or impossible, you still have options..
Become a Subtenant or Roommate. ... .
Use a Co-Signer Service. ... .
Try a Peer-to-Peer Lender. ... .
Establish or Rebuild Your Credit History..

Can you get someone to cosign?

A friend or family member can ask you to cosign just about any type of loan. Student loans, auto loans, home improvement loans, personal loans, and credit card agreements are common. Mortgage loans are too. However, you may not get a cosigner notice if you cosign some types of mortgage loans.